You do not need to
know Amazon inside out to succeed...
...when you partner up with me.
Nice to meet you! I am Lisett Lees and
as an experienced Amazon FBA Expert
and Strategist I am here to help you to
make clients choose your products over
competition and be on top of the Amazon
## These records of molecules were left in the piece by mistake
........
{"formula": "C6H8N2S2", "method": "ωB97M-V with the def2-TZVPD basis set", "homo_ev": -8.03, "gap_ev": 8.14, "elements": ["C", "C", "C", "C", "C", "C", "N", "N", "S", "S", "H", "H", "H", "H", "H", "H", "H", "H"], "coordinates": [[1.03166, -1.86512, -0.21560], [-0.16190, -1.03798, -0.29754], [1.74914, -1.48200, 0.81860], [-0.07639, -0.16397, 0.96221], [0.98407, 1.39173, -1.28306], [-2.14738, 0.95918, 0.77841], [1.10529, -0.53910, 1.62871], [-0.87470, 0.72184, 1.31241], [0.02969, 0.07795, -1.85567], [1.31151, 2.56828, -2.40358], [1.27465, -2.50128, -1.02488], [-1.25625, -1.33841, -0.47092], [2.59502, -2.08258, 1.23865], [-2.41437, 2.00040, 0.65620], [-2.34162, 0.45688, -0.20759], [-2.70747, 0.45867, 1.52066], [1.53532, 0.06158, 2.33024], [0.36374, 2.31394, -3.48725]], "atomic_forces_ev_per_a": [[-0.8, -0.4, -0.8], [-1.8, 2.0, -0.7], [1.3, -1.3, 2.2], [0.0, -0.2, -0.9], [-0.5, -1.5, -0.5], [-0.1, -1.0, -1.9], [-0.4, 0.3, -0.4], [1.8, 1.0, 1.6], [0.4, 1.1, 1.1], [-1.4, 0.0, -1.2], [0.5, -0.9, -0.2], [1.9, -0.5, 0.4], [-0.4, 1.2, -0.6], [0.1, 0.2, 0.3], [0.1, 0.4, 0.6], [-1.8, -0.1, 0.6], [-0.2, -0.4, -0.5], [1.3, 0.2, 1.0]]}

{"formula": "C6H8N3O", "method": "ωB97M-V with the def2-TZVPD basis set", "homo_ev": -12.38, "gap_ev": 7.62, "total_charge": 1, "elements": ["C", "C", "C", "C", "C", "C", "N", "N", "N", "O", "H", "H", "H", "H", "H", "H", "H", "H"], "coordinates": [[-1.98337, 0.90619, -0.37999], [-1.11356, 1.83538, 0.26165], [-1.95958, -0.43258, -0.69076], [0.22040, 1.77580, 0.51780], [-1.33809, -1.50423, -0.01469], [1.73200, -0.16532, -0.02324], [1.00706, 0.78854, 0.47347], [-0.75250, -2.48265, 0.44213], [2.46876, -0.93813, 0.79424], [1.78174, -0.54322, -1.27680], [-2.97254, 1.30672, -0.87340], [-1.38412, 2.88389, 0.22143], [-2.60375, -0.77590, -1.50328], [0.56904, 2.75477, 0.90333], [-0.80124, -3.32575, 0.98141], [1.33174, 0.14636, -1.78286], [2.93363, -0.45508, 1.52224], [2.86439, -1.77479, 0.42733]], "atomic_forces_ev_per_a": [[-1.1, 2.5, -0.4], [-2.9, -0.4, -1.7], [1.1, -3.1, 0.9], [0.1, 1.6, 0.9], [1.9, -2.7, 1.0], [-0.9, 0.7, 2.1], [2.7, -2.7, -0.9], [-2.3, 4.7, -2.6], [-0.5, 0.2, -0.3], [-0.2, 0.7, -0.9], [2.2, 0.0, 1.1], [-0.9, -0.2, 0.3], [0.1, -0.1, 0.4], [0.5, -0.6, -0.4], [-0.3, 0.0, 0.4], [-0.2, -0.3, -0.5], [0.2, 0.0, 0.9], [0.5, -0.3, -0.3]]}
........
You do not need to know Amazon inside out to succeed...
...said 1% of the successful sellers. You're among the other 99%? Nice to meet you! I am Lisett Lees and as an experienced Strategic Partner I am here to help you boost your business's efficiency!
Lisett Lees
Strategic Partner for FBA businesses
Past 7 years have shaped me into a strategic partner while working daily in Seller Central with different fulfilment by Amazon businesses managing tasks related to customer relations, store and team management.

My professional values: strategic thinking, creative problem solving and value oriented service providing with the goal of helping FBA businesses run their daily operations cost- and time-efficiently, keeping their focus on the most important tasks that elevates their business.

When not working, I like to explore my home country Estonia, rest my mind while fishing or travel. I love capturing memorable moments on camera and I am waiting for the day I will print actual photos not just collect Gigabytes on my hard drive.
Video Host
I am a video host on Orange Klik Youtube channel helping to connect Amazon private label sellers with leading industry experts through interviews and webinars.
My experiences
FBA related skills and beyond
Over the past years I've worked with clients selling in different categories and all kinds of products. Sports & outdoors, kitchen, kids, home, clothing, electronics, food, - just to name a few.

********
The following is a quantum chemistry calculation of a cluster of 11 separate species, C58H136F12N7O22 in total at a distorted geometry, from OMol25.

LUMO ... -7.19 eV
Maximum force ... 5.1 eV/Å
Net charge ... +3
Total energy ... -5526.6089 a.u.
Frontier orbital gap ... 1.657 eV

Positions of all 235 atoms, in Å:
C: 0.7387 -0.1819 -0.9330
O: -0.0715 -0.4962 0.2145
O: 0.2565 -0.9139 -2.0197
C: 0.9524 1.4354 -0.8849
F: -0.0869 2.1936 -1.2113
F: 1.3050 1.7791 0.4004
F: 1.9947 1.7791 -1.6282
C: -1.4576 -0.1409 0.3692
C: -1.7036 -0.4902 1.8792
H: -2.7287 -0.7618 2.1313
H: -1.1014 -1.3905 2.0020
H: -1.4103 0.2451 2.6285
H: -2.0777 -0.6698 -0.3546
H: -1.7998 0.8873 0.2511
H: 1.6688 -0.6766 -0.6533
C: -8.2152 0.4564 0.6794
O: -7.1712 1.5016 0.6842
O: -8.5674 0.2112 2.0165
C: -9.3510 1.1047 -0.2868
F: -10.1359 2.0517 0.2723
F: -8.8216 1.6131 -1.4243
F: -10.1922 0.1465 -0.7705
C: -5.8117 1.1101 0.7871
C: -5.1967 2.4724 0.9367
H: -5.2059 2.9020 1.9385
H: -4.1546 2.3413 0.6451
H: -5.6814 3.3552 0.5199
H: -5.4132 0.4280 0.0361
H: -5.6028 0.6246 1.7404
H: -7.9955 -0.4452 0.1076
C: -2.4412 4.2252 3.3397
O: -1.5070 3.1717 3.7218
O: -2.7173 4.9057 4.5845
C: -2.0454 4.8729 1.9460
F: -1.0829 5.8247 2.1389
F: -1.3658 4.1209 1.0119
F: -2.9575 5.5738 1.3432
C: -0.0538 3.5175 3.7414
C: 0.5688 2.1162 3.8546
H: 1.6567 2.1739 3.8881
H: 0.1613 1.5554 4.6958
H: 0.4151 1.4961 2.9714
H: 0.2121 4.1124 4.6152
H: 0.2975 3.8786 2.7748
H: -3.1988 3.4817 3.0920
C: -3.2486 -3.9522 1.2861
O: -3.6933 -4.0507 2.6491
O: -3.1979 -5.3136 0.8355
C: -4.1447 -2.9906 0.3718
F: -5.2958 -3.5340 -0.1516
F: -4.5553 -1.8522 1.0283
F: -3.5035 -2.5055 -0.6838
C: -3.5144 -2.9710 3.5409
C: -4.4510 -3.1636 4.7883
H: -4.5138 -2.3022 5.4532
H: -5.5065 -3.2835 4.5442
H: -4.2523 -3.9821 5.4801
H: -3.9054 -1.9825 3.2999
H: -2.4918 -2.8451 3.8965
H: -2.3210 -3.3900 1.3936
C: -3.2963 1.0162 5.8490
O: -4.6679 0.8224 5.8320
C: -5.3114 1.5952 4.8494
C: -6.7870 1.1283 4.7195
N: -7.4111 1.0543 6.1184
H: -6.5720 0.9949 6.6775
H: -7.6714 2.0041 6.3423
C: -8.4417 -0.0180 6.3324
C: -7.8620 -1.4792 6.6214
O: -6.8470 -1.3680 7.5811
C: -7.0540 -1.5269 8.9700
H: -2.7816 0.3945 5.1165
H: -2.9291 0.6103 6.7917
H: -3.1261 2.0760 6.0386
H: -4.7229 1.6706 3.9350
H: -5.3656 2.5914 5.2886
H: -6.7836 0.0535 4.5384
H: -7.5106 1.6929 4.1314
H: -9.1558 0.0376 5.5108
H: -8.8004 0.4094 7.2688
H: -7.5835 -1.8639 5.6403
H: -8.6171 -2.2103 6.9103
H: -7.4086 -2.5422 9.1472
H: -7.7546 -0.7597 9.2999
H: -6.1185 -1.4017 9.5151
C: 4.9230 -0.1076 -4.7798
O: 3.8568 0.6942 -5.2118
C: 2.5712 0.1146 -4.9968
C: 1.5023 1.1131 -5.4842
N: 1.8774 1.6972 -6.8257
H: 1.8928 2.7070 -6.8367
H: 2.8641 1.4948 -6.7507
C: 1.2174 1.1858 -8.0859
C: -0.2660 1.5264 -8.1964
O: -0.8170 2.8339 -7.8641
C: -0.2684 3.8852 -8.5943
H: 5.0000 -1.0774 -5.2714
H: 4.7207 -0.3621 -3.7394
H: 5.7846 0.5582 -4.7295
H: 2.4398 0.0341 -3.9178
H: 2.4274 -0.8644 -5.4540
H: 1.4050 1.9265 -4.7651
H: 0.5667 0.5553 -5.4431
H: 1.2486 0.0962 -8.0883
H: 1.7693 1.5441 -8.9548
********
# Back to the page
I have dealt with issues related to quality, patents, pesticides, hijackers, and restricted listings; also repeatedly turned dissatisfied buyers into pleased customers leaving 5 star reviews.
  • Coming from Northern Europe (Estonia) gives businesses the advantage to cooperate in well spoken english (or native for locals) saving time and effort in communication.
  • High quality direct sales training with intensive practice period in the US; experience in B2B sales; degree and work in international relations; assistance in marketing and branding.
  • Traveling and living in the USA, Germany and Spain has given me a good understanding of different consumer behaviours.
  • Passionate interest in photo- and videography, different marketing trends and overall business improvement.
Enough about me, let's focus on you!
Sounds familiar?
Find out how investing in a strategic partner can help to set priorities and get ahold of your FBA business!